[Wanted]
Find "0.8168 0.5676" and "0.5111 0.1167" in the lines underneath, and repeat these two lines and those between.
[Data]
Record 1
# Tb3Mg GGA-PBE optimized geometry
# formation energy from the elements: 0.010 eV/atom
# E_tot: -3.8662 eV per atom
data_Tb3Mg
_chemical_formula_sum 'Tb6 Mg2'
_symmetry_space_group_name_H-M 'P 63/m m c'
_symmetry_Int_Tables_number 194
_symmetry_space_group_name_Hall '-P 6c 2c'
_cell_length_a 7.0488
_cell_length_b 7.0488
_cell_length_c 5.5577
_cell_angle_alpha 90.00
_cell_angle_beta 90.00
_cell_angle_gamma 120.00
loop_
_atom_site_label
_atom_site_fract_x
_atom_site_fract_y
_atom_site_fract_z
Tb1 0.1708 0.3416 0.2500
Mg1 0.3333 0.6667 0.7500

Record 2
# Na4Ga4Si19 GGA-PBE optimized geometry
# M_tot: 0.001 μB/f.u.
# formation energy from the elements: 0.024 eV/atom
# E_tot: -4.4888 eV per atom
data_Na4Ga4Si19
_chemical_formula_sum 'Na8 Ga8 Si38'
_symmetry_space_group_name_H-M 'P 1'
_symmetry_Int_Tables_number 1
_cell_length_a 10.3764
_cell_length_b 10.3943
_cell_length_c 10.4081
_cell_angle_alpha 89.97
_cell_angle_beta 89.83
_cell_angle_gamma 89.85
loop_
_symmetry_equiv_pos_as_xyz
'x,y,z'
loop_
_atom_site_label
_atom_site_fract_x
_atom_site_fract_y
_atom_site_fract_z
Na1 0.0000 0.0000 0.0000
Na2 0.0002 0.0008 0.5021
Na3 0.0014 0.4992 0.2501
Na4 0.2509 0.4984 0.7511
Na5 0.5010 0.2499 0.2509
Na6 0.5006 0.7493 0.2519
Na7 0.5018 0.0012 0.7497
Na8 0.7505 0.4989 0.7513
Ga1 0.0004 0.7493 0.7517
Ga2 0.0008 0.3827 0.9422
Ga3 0.3098 0.5002 0.3675
Ga4 0.3835 0.9991 0.4417
Ga5 0.5005 0.4995 0.0007
Ga6 0.5008 0.3087 0.6340
Ga7 0.7523 0.9993 0.2510
Ga8 0.8102 0.1167 0.7508
Si1 0.0004 0.3801 0.5562
Si2 0.0004 0.6148 0.5554
Si3 0.0012 0.6193 0.9466
Si4 0.0043 0.2506 0.7481
Si5 0.1190 0.1932 0.2503
Si6 0.1189 0.8064 0.2510
Si7 0.1830 0.3119 0.4356
Si8 0.1827 0.6865 0.4370
Si9 0.1843 0.6830 0.0668
Si10 0.1881 0.3155 0.0685
Si11 0.1948 0.1188 0.7513
Si12 0.1961 0.8846 0.7518
Si13 0.2480 0.9993 0.2470
Si14 0.3057 0.4998 0.1324
Si15 0.3122 0.1846 0.5677
Si16 0.3148 0.8135 0.5691
Si17 0.3168 0.8158 0.9341
Si18 0.3179 0.1835 0.9360
Si19 0.3812 0.9987 0.0565
Si20 0.5009 0.3044 0.8704
Si21 0.5010 0.6938 0.6318
Si22 0.5011 0.6949 0.8655
Si23 0.5047 0.5037 0.5009
Si24 0.6158 0.9988 0.0565
Si25 0.6204 0.9993 0.4449
Si26 0.6818 0.1836 0.9396
Si27 0.6837 0.8156 0.9338
Si28 0.6852 0.8168 0.5676
Si29 0.6867 0.1819 0.5623
Si30 0.6954 0.5010 0.3697
Si31 0.6957 0.5007 0.1367
Si32 0.8053 0.8803 0.7509
Si33 0.8130 0.3157 0.0696
Si34 0.8168 0.3149 0.4338
Si35 0.8178 0.6834 0.4349
Si36 0.8179 0.6836 0.0681
Si37 0.8855 0.1955 0.2499
Si38 0.8859 0.8037 0.2507

Which value of E_tot does entry 2 give? -4.4888 eV per atom

What is the E_tot in the second record? -4.4888 eV per atom

Which of these has the highest formation energy from the elements? Na4Ga4Si19


(1)
Density functional theory data (PBE with a Hubbard U) for a relaxed TiFe3Sb2P6O24 crystal.

Cell: 8.9054 8.9054 8.9054 Å, 58.80 58.80 58.80°
Closest atoms and distances in Å follow each position.
Positions (direct):
1 O 0.4733 0.8951 0.7056  1 P 1.51
2 Fe 0.8440 0.8440 0.8440  3 O 1.90
3 O 0.2663 0.0801 0.9185  1 P 1.57
4 O 0.9417 0.0778 0.7340  1 P 1.61
5 O 0.5553 0.7720 0.4066  1 P 1.55
6 O 0.6153 0.0107 0.7988  1 P 1.54
7 O 0.7720 0.4066 0.5553  1 P 1.55
8 O 0.0154 0.1819 0.3846  1 P 1.54
9 Sb 0.4991 0.4991 0.4991  6 O 2.31-2.37
10 O 0.4357 0.2393 0.5832  1 P 1.58
11 O 0.0801 0.9185 0.2663  1 P 1.57
12 O 0.3846 0.0154 0.1819  1 P 1.54
13 O 0.2393 0.5832 0.4357  1 P 1.58
14 O 0.5832 0.4357 0.2393  1 P 1.58
15 P 0.2481 0.5392 0.9645  4 O 1.52-1.61
16 O 0.7988 0.6153 0.0107  1 P 1.54
17 Sb 0.9859 0.9859 0.9859  3 O 2.13
18 P 0.4538 0.0474 0.7511  4 O 1.51-1.58
19 Fe 0.6490 0.6490 0.6490  6 O 2.07-2.24
20 P 0.7511 0.4538 0.0474  4 O 1.51-1.58
21 O 0.7056 0.4733 0.8951  1 P 1.51
22 Ti 0.1452 0.1452 0.1452  6 O 1.94-1.97
23 O 0.4066 0.5553 0.7720  1 P 1.55
24 O 0.1167 0.3016 0.5111  1 P 1.52
25 Fe 0.3519 0.3519 0.3519  6 O 1.96-2.12
26 O 0.5111 0.1167 0.3016  1 P 1.52
27 O 0.8951 0.7056 0.4733  1 P 1.51
28 P 0.9645 0.2481 0.5392  4 O 1.52-1.61
29 P 0.5392 0.9645 0.2481  4 O 1.52-1.61
[Completed]
Si28 0.6852 0.8168 0.5676
Si29 0.6867 0.1819 0.5623
Si30 0.6954 0.5010 0.3697
Si31 0.6957 0.5007 0.1367
Si32 0.8053 0.8803 0.7509
Si33 0.8130 0.3157 0.0696
Si34 0.8168 0.3149 0.4338
Si35 0.8178 0.6834 0.4349
Si36 0.8179 0.6836 0.0681
Si37 0.8855 0.1955 0.2499
Si38 0.8859 0.8037 0.2507

Which value of E_tot does entry 2 give? -4.4888 eV per atom

What is the E_tot in the second record? -4.4888 eV per atom

Which of these has the highest formation energy from the elements? Na4Ga4Si19


(1)
Density functional theory data (PBE with a Hubbard U) for a relaxed TiFe3Sb2P6O24 crystal.

Cell: 8.9054 8.9054 8.9054 Å, 58.80 58.80 58.80°
Closest atoms and distances in Å follow each position.
Positions (direct):
1 O 0.4733 0.8951 0.7056  1 P 1.51
2 Fe 0.8440 0.8440 0.8440  3 O 1.90
3 O 0.2663 0.0801 0.9185  1 P 1.57
4 O 0.9417 0.0778 0.7340  1 P 1.61
5 O 0.5553 0.7720 0.4066  1 P 1.55
6 O 0.6153 0.0107 0.7988  1 P 1.54
7 O 0.7720 0.4066 0.5553  1 P 1.55
8 O 0.0154 0.1819 0.3846  1 P 1.54
9 Sb 0.4991 0.4991 0.4991  6 O 2.31-2.37
10 O 0.4357 0.2393 0.5832  1 P 1.58
11 O 0.0801 0.9185 0.2663  1 P 1.57
12 O 0.3846 0.0154 0.1819  1 P 1.54
13 O 0.2393 0.5832 0.4357  1 P 1.58
14 O 0.5832 0.4357 0.2393  1 P 1.58
15 P 0.2481 0.5392 0.9645  4 O 1.52-1.61
16 O 0.7988 0.6153 0.0107  1 P 1.54
17 Sb 0.9859 0.9859 0.9859  3 O 2.13
18 P 0.4538 0.0474 0.7511  4 O 1.51-1.58
19 Fe 0.6490 0.6490 0.6490  6 O 2.07-2.24
20 P 0.7511 0.4538 0.0474  4 O 1.51-1.58
21 O 0.7056 0.4733 0.8951  1 P 1.51
22 Ti 0.1452 0.1452 0.1452  6 O 1.94-1.97
23 O 0.4066 0.5553 0.7720  1 P 1.55
24 O 0.1167 0.3016 0.5111  1 P 1.52
25 Fe 0.3519 0.3519 0.3519  6 O 1.96-2.12
26 O 0.5111 0.1167 0.3016  1 P 1.52